• Activity:
Could you find the line further down that holds "1.24683", then write out that line and all lines after it there?
• Listing:
+++
# 1
Entry from OMol25: C36H47GeNO3PSi2Ta as an isolated structure (ωB97M-V/def2-TZVPD).

HOMO	-7.867	eV
E_LUMO	-0.391	eV
frontier orbital gap	0.2747	Ha

Last column: Löwdin charge in e.
Positions of all 92 atoms, in Å:
Ta  0.57581  -0.40953  -0.22372  1.27
C  1.94835  -0.82795  0.85413  -0.45
Ge  3.03857  -0.17970  2.29169  0.86
C  2.35469  1.53096  2.98188  -0.28
C  2.84066  2.73544  2.47606  -0.10
C  2.36362  3.95114  2.94720  -0.09
C  1.39696  3.98012  3.94414  -0.10
C  0.89971  2.78823  4.45342  -0.09
C  1.37229  1.57510  3.96977  -0.13
C  3.16816  -1.41231  3.81672  -0.28
C  3.25636  -2.78224  3.57872  -0.12
C  3.39670  -3.68346  4.62371  -0.09
C  3.45874  -3.22152  5.93226  -0.09
C  3.38698  -1.85842  6.18503  -0.09
C  3.24392  -0.96174  5.13320  -0.11
C  4.85865  0.14175  1.61635  -0.28
C  5.16578  -0.00182  0.26613  -0.12
C  6.44979  0.24668  -0.20282  -0.10
C  7.44582  0.64368  0.67790  -0.10
C  7.15512  0.78738  2.02878  -0.09
C  5.87084  0.53655  2.48941  -0.11
H  3.60738  2.72451  1.70776  0.10
H  2.74884  4.87827  2.53863  0.11
H  1.03373  4.92861  4.32074  0.10
H  0.14372  2.80259  5.23015  0.10
H  0.97356  0.65037  4.37690  0.10
H  3.21547  -3.14753  2.55776  0.08
H  3.45869  -4.74553  4.41727  0.10
H  3.56735  -3.92172  6.75121  0.10
H  3.44191  -1.49183  7.20296  0.10
H  3.18621  0.09995  5.34558  0.09
H  4.38776  -0.31921  -0.42095  0.07
H  6.67422  0.12894  -1.25620  0.10
H  8.44740  0.83863  0.31535  0.10
H  7.92925  1.09329  2.72135  0.10
H  5.65438  0.64813  3.54793  0.10
N  -0.14867  7.09392  0.04496  0.15
C  -0.07348  5.94600  0.06917  -0.19
C  0.01985  4.52068  0.09883  -0.25
C  -0.61127  3.79967  1.11672  -0.04
C  -0.51299  2.42075  1.14357  -0.14
C  0.21209  1.71968  0.17829  -0.32
C  0.84134  2.46718  -0.81774  -0.14
C  0.75090  3.84908  -0.87910  -0.03
H  -1.16396  4.33169  1.88057  0.12
H  -1.01015  1.88115  1.94265  0.10
H  1.44949  1.97770  -1.58648  0.09
H  1.24683  4.40702  -1.66267  0.12
C  -4.24338  -0.17430  1.59798  -0.10
O  -3.59211  0.85036  0.84163  -0.34
P  -2.67914  0.50640  -0.44912  0.82
O  -2.80957  1.88406  -1.27540  -0.33
C  -3.56643  3.05798  -0.96420  -0.09
O  -3.75299  -0.47825  -1.21359  -0.34
C  -3.44048  -0.87741  -2.54282  -0.13
H  -4.86621  0.32912  2.33229  0.09
H  -3.51357  -0.80022  2.11481  0.06
H  -4.86583  -0.79531  0.95556  0.08
H  -4.25126  3.26040  -1.78580  0.09
H  -2.87142  3.88732  -0.85332  0.08
H  -4.13147  2.92757  -0.04418  0.08
H  -4.17146  -1.62729  -2.83516  0.09
H  -2.43768  -1.31802  -2.60477  0.05
H  -3.49662  -0.02900  -3.22677  0.09
C  -2.44354  -4.04573  1.46725  -0.18
Si  -0.76980  -3.16181  1.47764  0.40
C  0.56847  -4.45440  1.76862  -0.18
C  -0.77313  -1.93439  2.91320  -0.18
C  -0.58339  -2.25910  -0.14844  -0.54
Si  0.18083  -3.05877  -1.66432  0.40
C  0.72728  -1.52485  -2.71308  -0.22
C  -1.05604  -4.10060  -2.62171  -0.16
C  1.77162  -4.02316  -1.41694  -0.18
H  -2.63958  -4.55576  2.41438  0.03
H  -2.48176  -4.79471  0.67042  0.02
H  -3.26410  -3.34305  1.29207  0.02
H  0.64462  -4.69334  2.83273  0.03
H  1.54296  -4.09272  1.43675  0.00
H  0.34473  -5.38009  1.23053  0.03
H  -1.13807  -2.40355  3.83189  0.04
H  -1.40599  -1.06252  2.71128  0.01
H  0.24042  -1.57285  3.10293  0.00
H  -1.61545  -2.04102  -0.46899  -0.03
H  -0.05406  -0.76737  -2.85909  0.02
H  1.07057  -1.78690  -3.71568  0.05
H  1.64317  -1.06670  -2.28067  0.01
H  -2.03861  -3.63125  -2.70065  0.02
H  -1.18264  -5.04189  -2.07851  0.04
H  -0.70749  -4.34408  -3.62793  0.03
H  2.46382  -3.45941  -0.78733  0.02
H  2.25787  -4.21093  -2.37838  0.04
H  1.58764  -4.99056  -0.94404  0.03

---

# 2
Entry from OMol25: C36H47I2N5OSSeTa as an isolated structure (ωB97M-V/def2-TZVPD).

multiplicity	2
HOMO (spin up / spin down)	-12.527 / -12.411	eV
E_LUMO (spin up / spin down)	-7.926 / -7.829	eV
<S²>	0.7717
frontier orbital gap (spin up / spin down)	0.1691 / 0.1684	Ha
net charge	+2

Last column: Mulliken spin population.
Positions of all 94 atoms, in Å:
+++
• Solution:
H  1.24683  4.40702  -1.66267  0.12
C  -4.24338  -0.17430  1.59798  -0.10
O  -3.59211  0.85036  0.84163  -0.34
P  -2.67914  0.50640  -0.44912  0.82
O  -2.80957  1.88406  -1.27540  -0.33
C  -3.56643  3.05798  -0.96420  -0.09
O  -3.75299  -0.47825  -1.21359  -0.34
C  -3.44048  -0.87741  -2.54282  -0.13
H  -4.86621  0.32912  2.33229  0.09
H  -3.51357  -0.80022  2.11481  0.06
H  -4.86583  -0.79531  0.95556  0.08
H  -4.25126  3.26040  -1.78580  0.09
H  -2.87142  3.88732  -0.85332  0.08
H  -4.13147  2.92757  -0.04418  0.08
H  -4.17146  -1.62729  -2.83516  0.09
H  -2.43768  -1.31802  -2.60477  0.05
H  -3.49662  -0.02900  -3.22677  0.09
C  -2.44354  -4.04573  1.46725  -0.18
Si  -0.76980  -3.16181  1.47764  0.40
C  0.56847  -4.45440  1.76862  -0.18
C  -0.77313  -1.93439  2.91320  -0.18
C  -0.58339  -2.25910  -0.14844  -0.54
Si  0.18083  -3.05877  -1.66432  0.40
C  0.72728  -1.52485  -2.71308  -0.22
C  -1.05604  -4.10060  -2.62171  -0.16
C  1.77162  -4.02316  -1.41694  -0.18
H  -2.63958  -4.55576  2.41438  0.03
H  -2.48176  -4.79471  0.67042  0.02
H  -3.26410  -3.34305  1.29207  0.02
H  0.64462  -4.69334  2.83273  0.03
H  1.54296  -4.09272  1.43675  0.00
H  0.34473  -5.38009  1.23053  0.03
H  -1.13807  -2.40355  3.83189  0.04
H  -1.40599  -1.06252  2.71128  0.01
H  0.24042  -1.57285  3.10293  0.00
H  -1.61545  -2.04102  -0.46899  -0.03
H  -0.05406  -0.76737  -2.85909  0.02
H  1.07057  -1.78690  -3.71568  0.05
H  1.64317  -1.06670  -2.28067  0.01
H  -2.03861  -3.63125  -2.70065  0.02
H  -1.18264  -5.04189  -2.07851  0.04
H  -0.70749  -4.34408  -3.62793  0.03
H  2.46382  -3.45941  -0.78733  0.02
H  2.25787  -4.21093  -2.37838  0.04
H  1.58764  -4.99056  -0.94404  0.03

---

# 2
Entry from OMol25: C36H47I2N5OSSeTa as an isolated structure (ωB97M-V/def2-TZVPD).

multiplicity	2
HOMO (spin up / spin down)	-12.527 / -12.411	eV
E_LUMO (spin up / spin down)	-7.926 / -7.829	eV
<S²>	0.7717
frontier orbital gap (spin up / spin down)	0.1691 / 0.1684	Ha
net charge	+2

Last column: Mulliken spin population.
Positions of all 94 atoms, in Å: